Work out how many lines below have the word "for" in them; a number is enough, please.

=====
C25H35BF2MoN4Si | ωB97M-V/def2-TZVPD

```
69
Properties=species:S:1:pos:R:3:forces:R:3:nbo_charge:R:1
Mo -0.24069 0.24929 0.06090 1.17 -0.71 0.79 0.6829
C 2.50862 2.69567 -0.10235 0.08 -0.25 -0.10 -0.4109
C 3.28766 1.38510 -0.19452 -0.17 0.04 0.07 -0.4146
C 2.64453 0.31265 0.69471 0.29 0.19 -0.12 -0.2552
N 1.62664 -0.49677 0.01231 0.25 -0.01 -0.16 -0.5408
C 1.95273 -1.69376 -0.51031 -0.24 -0.31 -0.01 0.2717
C 3.27843 -2.09139 -0.71237 -0.03 0.10 0.01 -0.1828
C 3.80276 -3.27859 -1.18726 -0.01 -0.06 -0.03 -0.1448
C 3.13127 -4.40372 -1.63851 0.02 0.04 -0.01 -0.1209
C 1.75981 -4.57071 -1.74122 0.00 0.00 0.03 -0.1463
C 0.73136 -3.72660 -1.35925 -0.11 0.02 0.00 -0.1594
C 0.74898 -2.45392 -0.77568 0.44 0.07 -0.01 0.1889
N -0.36889 -1.75460 -0.44634 -0.47 -0.16 -0.22 -0.4743
C -1.59996 -2.51318 -0.22405 -0.15 -0.14 0.27 -0.2500
C -1.74041 -2.69612 1.28482 0.03 0.16 -0.12 -0.3986
C -2.22615 -1.45512 2.00766 -0.02 -0.26 -0.06 -0.2365
N -1.45972 -0.21915 1.76256 -0.11 0.10 -0.01 -0.5048
C -1.60926 0.75684 2.67091 0.05 0.17 -0.10 0.2092
C -2.48707 0.64170 3.77827 -0.10 -0.06 0.12 -0.1981
C -2.64218 1.43113 4.88964 0.02 -0.04 -0.06 -0.1192
C -1.99717 2.62108 5.24210 0.10 0.14 -0.05 -0.1507
C -1.17381 3.36688 4.43869 -0.12 -0.04 0.17 -0.1345
C -0.77610 3.10849 3.12436 0.09 -0.10 -0.24 -0.1842
C -0.93029 1.98905 2.33014 -0.37 -0.04 0.31 0.2384
N -0.39426 1.90083 1.06960 0.31 0.54 0.42 -0.5202
C 0.00209 3.07819 0.29959 -0.03 0.14 -0.20 -0.2389
C 1.08422 2.59435 -0.66892 -0.09 0.37 0.70 -0.2755
H 3.04318 3.47995 -0.63789 -0.04 0.04 0.01 0.2476
H 2.47045 2.99582 0.94752 -0.01 0.02 0.00 0.2083
H 4.31631 1.55125 0.12517 0.00 0.01 0.00 0.2455
H 3.31563 1.03821 -1.23138 0.09 -0.03 0.00 0.2128
H 2.16236 0.80042 1.54437 0.01 -0.04 0.03 0.2182
H 3.40272 -0.34125 1.12478 -0.07 -0.08 0.01 0.2296
H 4.02440 -1.34498 -0.47256 -0.01 0.00 0.02 0.2338
H 4.88439 -3.32309 -1.22683 0.00 0.00 0.00 0.2473
H 3.74419 -5.23071 -1.97463 0.00 0.01 -0.02 0.2484
H 1.43487 -5.50339 -2.18639 0.00 -0.01 0.02 0.2470
H -0.24627 -4.12377 -1.58868 0.03 -0.01 0.02 0.2333
H -1.58801 -3.49471 -0.68419 0.05 0.04 -0.05 0.2113
H -2.45419 -1.98260 -0.62798 0.09 -0.07 -0.05 0.2419
H -0.77355 -3.00911 1.68695 -0.03 -0.08 0.02 0.2110
H -2.45952 -3.48819 1.49714 0.00 0.00 0.00 0.2475
H -2.16837 -1.69153 3.06940 0.00 0.06 0.01 0.2222
H -3.27475 -1.28237 1.74998 0.00 0.03 0.06 0.2204
H -3.14580 -0.21301 3.76448 0.04 0.01 0.01 0.2404
H -3.36846 1.07099 5.60872 -0.01 -0.03 -0.02 0.2459
H -2.21748 3.02015 6.22409 -0.01 0.00 -0.01 0.2484
H -0.81234 4.30028 4.85226 0.00 0.00 -0.01 0.2444
H -0.20618 3.91542 2.68567 0.01 -0.01 -0.04 0.2295
H 0.38508 3.89520 0.90672 0.07 -0.04 0.05 0.2165
H -0.87669 3.45116 -0.22866 -0.01 0.01 0.00 0.2414
H 1.01771 3.12061 -1.61465 -0.11 -0.26 -0.09 0.2656
H 0.84176 1.51860 -0.89217 0.53 0.38 -0.92 0.1402
F -3.42121 -0.22123 -0.43703 0.17 -0.11 0.20 -0.5437
B -2.34337 0.56116 -0.38633 -1.30 0.31 -1.06 1.1301
F -2.68518 1.86315 -0.46773 0.10 -0.08 0.07 -0.5407
C -0.15732 1.93693 -3.52803 -0.09 -0.13 0.30 -1.1508
Si -0.68742 0.30082 -2.75125 -0.31 0.03 -0.23 1.5839
C -2.49098 0.00152 -3.18378 0.17 -0.05 0.07 -1.1597
C 0.39176 -1.04198 -3.52255 -0.16 0.14 0.32 -1.1425
H -0.45130 1.88911 -4.58044 -0.05 -0.10 0.01 0.2727
H 0.92205 2.09363 -3.50698 -0.03 -0.04 0.00 0.2404
H -0.65733 2.80888 -3.10287 0.00 -0.01 0.01 0.2490
H -2.56824 -0.07708 -4.27182 0.09 0.02 -0.02 0.2707
H -3.13212 0.82824 -2.87280 0.01 -0.01 -0.04 0.2609
H -2.89709 -0.91831 -2.76166 0.04 0.01 -0.05 0.2520
H 0.42624 -0.83859 -4.59596 -0.04 0.09 0.00 0.2719
H -0.03440 -2.03687 -3.39640 -0.01 0.02 -0.01 0.2403
H 1.42137 -1.05635 -3.16110 0.00 0.03 -0.02 0.2375
```
Forces are in eV/Å.

For the HOMO energy, the calculation gives -13.99 eV. The value obtained for the gap between HOMO and LUMO is 6.54 eV. The calculation puts the electronic energy at -48285.6552 eV. The net charge is +2. Its molar mass is 564.42 g/mol.

=====

C3H2Br2O | ωB97M-V/def2-TZVPD

```
8
=====

1